The Future of Public Health
The global outbreak of COVID-19 has demonstrated the importance of a country’s public management structure. A pandemic such as this affects the country’s entire population, and the decisions made by public managers determine the success or failure of the outcomes in the long run.
There are three legs of governance responsible for decision making, and they are equally important when it comes to matters such as this. They are economic, political, and administrative governance.
Economic governance entails the decision-making processes that directly affect the economic well-being of a country. It has an impact on the quality of life, poverty levels, and equality of the population. The current pandemic is a good example of this, the government has had to make difficult decisions regarding the shutting down of certain sectors of the economy, weighing up economic hardship versus the preservation of life.
Political governance relates to policymaking which includes national disaster planning measures and the way it combines the state and private sector stakeholders to determine the quality of the policy outcomes. This part of the process also determines what kind of assistance will be mandatory in the event of a national disaster.
Administrative governance is the part of the system that demands well-functioning organisations at local and provincial levels. This requires the implementation and enforcement of land-use planning, building codes, safety standards, human vulnerability, and environmental risk monitoring.
The decisions and policies of a government determine how the population and its economy survive and thrive after a disaster or a pandemic such as this. It is the government’s responsibility to protect its people, infrastructure and economy from disasters, and to make contingency plans to counter the effects.
Someone pasted data records at this point:
'''
# MgAl2H4Pb2O4F6
Simulated powder XRD pattern, Cu Ka. Input: the PBE geometry in the Materials Project.

Atomic structure:
```
data_MgAl2H4Pb2O4F6
_cell_length_a 4.8307
_cell_length_b 7.6053
_cell_length_c 7.6145
_cell_angle_alpha 112.38
_cell_angle_beta 95.97
_cell_angle_gamma 98.58
_symmetry_space_group_name_H-M 'P -1'
_symmetry_Int_Tables_number 2
loop_
_symmetry_equiv_pos_as_xyz
'x,y,z'
'-x,-y,-z'
loop_
_atom_site_label
_atom_site_fract_x
_atom_site_fract_y
_atom_site_fract_z
Mg1 0.0000 0.0000 0.0000
Al1 0.3473 0.3411 0.3281
H1 0.1626 0.6581 0.4994
H2 0.2657 0.6065 0.8351
Pb1 0.4216 0.2415 0.7775
O1 0.3331 0.5998 0.4829
O2 0.4588 0.5798 0.8455
F1 0.0098 0.2774 0.1525
F2 0.1265 0.2424 0.4660
F3 0.3708 0.0850 0.1728
```

The 6 most intense peaks (10 to 90 degrees two-theta), low angle first:
2theta, intensity, index
14.01, 58, 0 1 -1
18.87, 100, 1 0 0
21.55, 64, 0 1 1
23.26, 56, 1 -1 1
25.89, 64, 0 2 0
29.20, 74, 1 1 -2

***

# RbUCuS3
Simulated powder XRD pattern, Cu Ka. Input: the PBE geometry in the Materials Project.

Atomic structure:
```
data_RbUCuS3
_cell_length_a 3.9805
_cell_length_b 14.7652
_cell_length_c 10.3077
_cell_angle_alpha 90.00
_cell_angle_beta 90.00
_cell_angle_gamma 90.00
_symmetry_space_group_name_H-M 'C m c m'
_symmetry_Int_Tables_number 63
_symmetry_space_group_name_Hall '-C 2c 2'
loop_
_atom_site_label
_atom_site_fract_x
_atom_site_fract_y
_atom_site_fract_z
Rb1 0.0000 0.2418 0.2500
U1 0.0000 0.5000 0.0000
Cu1 0.0000 0.0333 0.7500
S1 0.0000 0.1174 0.5609
S2 0.0000 0.4434 0.7500
```

The 6 most intense peaks (10 to 90 degrees two-theta), low angle first:
2theta, intensity, index
11.99, 100, 0 2 0
21.02, 52, 0 2 2
24.11, 32, 0 4 0
28.98, 50, 1 1 2
33.78, 50, 1 3 2
41.93, 38, 1 5 2

***

# Te2Pd7
Simulated powder XRD pattern, Cu Ka. Input: the PBE geometry in the Materials Project.

Atomic structure:
```
data_Te2Pd7
_cell_length_a 8.9753
_cell_length_b 8.9753
_cell_length_c 21.9380
_cell_angle_alpha 90.00
_cell_angle_beta 90.00
_cell_angle_gamma 120.00
_symmetry_space_group_name_H-M 'R -3 m'
_symmetry_Int_Tables_number 166
_symmetry_space_group_name_Hall '-R 3 2"'
loop_
_atom_site_label
_atom_site_fract_x
_atom_site_fract_y
_atom_site_fract_z
Te1 0.0000 0.0000 0.0000
Te2 0.0000 0.0000 0.3720
Te3 0.0000 0.5000 0.5000
Pd1 0.0000 0.0000 0.2573
Pd2 0.0000 0.0000 0.5000
Pd3 0.0131 0.5066 0.6225
Pd4 0.0173 0.5087 0.8738
Pd5 0.0278 0.5139 0.2515
```

The 6 most intense peaks (10 to 90 degrees two-theta), low angle first:
2theta, intensity, index
23.26, 17, 0 2 1
40.22, 100, 2 0 8
55.66, 10, 2 3 5
58.19, 16, 0 4 8
73.06, 22, 4 2 8
73.20, 8, 0 2 16

***

# LaB2C2
Simulated powder XRD pattern, Cu Ka. Input: the PBE geometry in the Materials Project.

Atomic structure:
```
data_LaB2C2
_cell_length_a 5.4028
_cell_length_b 5.4028
_cell_length_c 3.9822
_cell_angle_alpha 90.00
_cell_angle_beta 90.00
_cell_angle_gamma 90.00
_symmetry_space_group_name_H-M 'P 4/m b m'
_symmetry_Int_Tables_number 127
'''
Good governance always requires political transparency, tolerance, accountability, and efficiency. It is also good governance that leads to the mobilisation and creation of partnerships that give a voice to the poorest and most vulnerable. The principles of good governance provide the key to sustainable development and by implication to effective disaster risk reduction.
Some principles of good governance are:
- An organisational culture committed to good public sector governance
Leaders need to embrace the principles as core values to guide their judgment and behaviour.
- Stakeholder relationships
There will be internal stakeholders as well as external stakeholders and relationships with both need to be nurtured.
- Compliance and accountability
Institutions that enforce accountability can include political legislative bodies, an ombudsman, and auditors.
- Monitoring and evaluation
The monitoring and evaluation of government organisations’ performance is a crucial part of ensuring good governance and delivery of goods and services.
Where individuals in public management are concerned, there are certain characteristics needed to effectively handle a pandemic of crisis.
- Vision and communication
It is important to have the communication ability to accurately convey the vision and mission to others.
- Responsibility and command
Being unafraid of responsibility, considering choices and being decisive. This also speaks to having a sense of command, being able to tackle obstacles and settle disputes.
- Making the right decision at the right time
This is a skill which can spell success or failure. It is important to always make the best decision possible for the moment.
- Leadership and inspiration
The ability to guide and motivate a team of people towards a common goal.
- Political sense
There is a distinction between being political and having political sense, this is the ability to say and do things that are in line with the accepted customs and convictions, the ability to read a room.
- Empathy
People who work in public management require a certain level of empathy, to understand what others are going through and to have compassion for their situation.
A way for public managers to be ready for any eventuality and to expand their skill set is to continue working while completing a qualification which puts them a step ahead of the rest. The University of Pretoria offers such a qualification, fully online and applications are open.